College Counseling

4 Reasons the Class of 2022 Needs More Guidance

COVID-19 restrictions may be lifted, but its effects are still felt by the Class of 2022. Consider the extra challenges students face this year and what ISD has to help students surmount the university application process.

First, students have had more learning disruption. An entire year spent learning online is a significant amount of time and teachers recognize it because we experienced it. ISD faculty provide additional contact time with students to prepare for the IB world exams while also supporting students to submit quality assessments. During the free blocks, ideally, students visit the College Counselor or set individual meetings.

 Second, projecting scores and writing recommendations or references is trickier for faculty. Now is a vital time for students to engage with teachers. Ways students can engage with faculty include attending classes in person. Then, when learning online, turning cameras on in virtual meets, speaking up in classes, and attending office hours. Even though it may feel embarrassing for students to take themselves off mute and ask questions, it helps build a classroom community that is difficult to do virtually and allows faculty to get to know students in their classes.

Teachers report visibility can go a long way. From a teacher’s perspective, teaching to a screen full of black muted squares; it’s energizing to see a face on the other side. During online learning both faculty and students share that they miss the casual conversations that naturally happen in the hallways, before or after classes.  Faculty miss seeing students’ faces and hearing voices.

“How can I build rapport with teachers to facilitate effective teacher recommendations while distance learning?”

Seniors applying to US universities have been given a process to inform teachers to explain why they chose to ask the teacher and detail their goals for college, letting faculty know the particular points they would like them to consider when recommending or writing brief reference statements.  Requesting a recommendation or reference, students can tell faculty what they are doing, but faculty are also looking to see student engagement and participation in their classes.

Third, like their peers in the previous years, they may not yet know if the countries they plan to apply to have travel restrictions, i.e., Australia. Or if classes are taking place in person, online, or run hybrid schedules. This level of uncertainty is challenging to plan for. We support students by helping them to apply to more than one country during the application process. However, it does mean working on perhaps two separate timelines with different application and decision dates. Students use our BridgeU platform and independent research to check their application deadlines. They are encouraged to regularly check their emails as universities communicate the following steps to students via email.

Finally, this year, universities are projecting higher rates of applicants, which means increased competition for university places. During the summer, forward-thinking students finalized lists, attended summer programs, began essays, and started their applications. Students are encouraged to complete early applications, meet priority deadlines and submit applications well before the stated deadlines. Due to the increased number of applicants applying this year, universities and programs may fill up before the stated deadline.

Molecular data that have nothing to do with the entry:
~~~
w) Here is a 2-piece molecular cluster, C5H7N overall from the OMol25 dataset. Energies are from ωB97M-V with the def2-TZVPD basis set.

Element x y z (Å)
1 N -2.62700 1.25455 0.25716
2 C -1.84729 0.39819 0.25752
3 C -0.99608 -0.80465 0.28983
4 C 0.45987 -0.57297 0.61655
5 C 0.25058 1.79704 -0.63532
6 C 1.46645 -1.15396 -0.03510
7 H -1.08850 -1.31345 -0.67604
8 H -1.43594 -1.47027 1.04419
9 H 0.66039 0.04269 1.49027
10 H 0.77937 2.66451 -0.18350
11 H 0.40900 1.94215 -1.72615
12 H 1.30054 -1.77804 -0.91136
13 H 2.49750 -1.01839 0.28035

Its net charge is 0. The HOMO energy (spin up / spin down) comes out at -9.085 / -8.931 eV. The value obtained for the frontier orbital gap (spin up / spin down) is 0.3059 / 0.3022 hartree.



x) Here is a single C5H7N molecule from the OMol25 dataset. Energies are from ωB97M-V with the def2-TZVPD basis set.

Element x y z (Å)
1 C -1.40356 -0.10360 1.11526
2 N -0.27699 0.45392 0.41455
3 C -0.31525 1.20142 -0.80276
4 C 0.28547 -0.18039 -0.75014
5 C 1.66730 -0.58100 -0.53928
6 C 2.71325 -1.04530 -0.15943
7 H -1.03019 -0.97196 1.66870
8 H -2.25033 -0.42267 0.48519
9 H -1.75390 0.63342 1.84355
10 H -1.26516 1.28226 -1.34450
11 H 0.30164 2.09638 -0.83989
12 H -0.30173 -0.91711 -1.30644
13 H 3.62944 -1.44534 0.21520

Its net charge is 0. The HOMO energy comes out at -9.268 eV. The value obtained for the frontier orbital gap is 0.3808 hartree.



y) Here is a single C5H7N molecule from the OMol25 dataset. Energies are from ωB97M-V with the def2-TZVPD basis set.

Element x y z (Å)
1 C -0.89519 -1.48571 0.83682
2 C -0.21428 -0.30251 0.27063
3 C 0.72508 0.52955 0.82116
4 C 1.09734 1.47296 -0.17726
5 C 0.39626 1.16749 -1.31292
6 N -0.37929 0.06644 -1.04342
7 H -1.98125 -1.56144 0.67025
8 H -0.33019 -2.26222 0.25073
9 H -0.68241 -1.64694 1.89786
10 H 1.10302 0.45906 1.83384
11 H 1.80315 2.28342 -0.06803
12 H 0.39000 1.62887 -2.28989
13 H -1.03224 -0.34898 -1.68977

Its net charge is 0. The HOMO energy comes out at -7.894 eV. The value obtained for the frontier orbital gap is 0.3287 hartree.



Energy comparison, zero being the most stable, in eV: w) 5.676; x) 3.248; y) 0.000.



w) Here is a 2-piece molecular cluster, C5H7N overall from the OMol25 dataset. Energies are from ωB97M-V with the def2-TZVPD basis set.

Element x y z (Å)
1 N -2.34897 -1.70585 0.13051
2 C -1.22569 -1.42922 0.20082
3 C 0.22979 -1.23411 0.34524
4 C 0.64522 0.18980 0.63035
5 C -1.37329 0.95346 -0.72939
6 C 1.67261 0.80277 0.03886
7 H 0.72259 -1.60052 -0.56258
8 H 0.55834 -1.87976 1.16994
9 H 0.11848 0.67552 1.44803
10 H -1.93217 1.83256 -0.34457
11 H -1.35252 1.10441 -1.82930
12 H 2.22737 0.33824 -0.77401
13 H 1.99016 1.79549 0.34603

Its net charge is 0. The HOMO energy (spin up / spin down) comes out at -8.879 / -8.708 eV. The value obtained for the frontier orbital gap (spin up / spin down) is 0.3002 / 0.2975 hartree.



x) Here is C5H7N as an isolated structure from the OMol25 dataset. Energies are from ωB97M-V with the def2-TZVPD basis set.
~~~

 Key takeaway: Students need more or different support than previous year groups, and we continue to provide that support both in-person and online. Weekly homeroom lessons on Tuesday morning in small groups in homerooms to cover topics such as Mental Health & Well Being, Digital Citizenship, Decision Making, Time Management, Sleep. Student attendance during Tuesday’s Homeroom time is expected, allowing them to engage and participate as students benefit from checking in with their teachers and hearing from their peers.

Bhatia, A. (2020, October 30). Getting Recommendation Letters During Covid-19. U.S. News & World Report. Retrieved September 1, 2021.

AMA Business Webinar, October 28th, 5 PM (Dhaka time)

A high school student interested in studying Business at university and curious to learn about the application process: during this webinar attending students will hear from international students currently studying at the University of Exeter (UK) about anything to do with applying for or studying Business. Register here to receive a Zoom link to attend:

Ellen Johnston